Next, count the lines below that contain the word "Si" and give the number alone.
┌──
Computed, not measured: a relaxed structure of AcAlSiF at the GGA-PBE level of DFT.

E_form (uncorrected): -1.622 eV/atom

Cell and atoms, written as POSCAR:
```
AcAlSiF
1.0
-1.554 -3.548 1.779
3.851 -1.810 -0.246
1.981 3.131 7.977
Ac Al Si F
2 2 2 2
direct
0.500 0.000 0.688
0.000 0.500 0.312
0.500 0.500 0.000
0.000 0.000 0.000
0.000 0.500 0.841
0.500 0.000 0.159
0.000 0.000 0.500
0.500 0.500 0.500
```
└──
1